• Excerpt:
{"formula": "C5H9BaO3", "method": "ωB97M-V with the def2-TZVPD basis set", "elements": ["O", "C", "O", "C", "C", "H", "C", "H", "H", "H", "C", "H", "H", "H", "H", "H", "Ba", "O"], "xyz": [[-0.52, 0.08, -0.87], [0.60, -0.16, -0.38], [1.50, -0.64, -1.19], [2.26, -1.83, -0.86], [1.06, 0.36, 1.08], [1.87, -0.23, 1.54], [1.29, 1.86, 1.16], [2.35, 2.14, 1.11], [0.81, 2.38, 0.32], [0.88, 2.23, 2.12], [2.47, -2.60, -2.13], [1.69, -2.41, -0.12], [3.21, -1.52, -0.41], [1.55, -3.12, -2.43], [3.25, -3.36, -1.96], [2.79, -1.94, -2.95], [-2.39, 0.62, 0.91], [-0.16, -0.10, 1.60]], "lowdin_charge": [-0.1531, -0.4534, 0.0251, -0.1949, -0.4070, 0.1429, -0.0381, 0.0894, 0.0819, 0.0872, -0.0599, 0.1358, 0.1287, 0.0867, 0.0897, 0.0909, 1.9289, -0.5807], "spin_multiplicity": 1, "orbital_gap_ev": 7.5, "e_above_lowest_ev": 0.0000, "homo_energy_ha": -0.437, "charge": 1}

=====

(1)
Here is 2 unconnected molecules or ions with the total composition C21H19F3N4O7S2 from OMol25. Energies are from wB97M-V/def2-TZVPD.

Geometry (Å):
C -2.232 -2.469 -1.244
O -1.811 -1.551 -0.180
C -0.989 -1.718 0.896
C -0.363 -3.028 1.078
C 0.427 -3.491 0.017
C 1.114 -4.687 0.117
C 0.980 -5.444 1.286
C 0.102 -5.059 2.297
C -0.631 -3.881 2.172
C -1.203 -0.606 1.748
N -1.010 -0.348 3.076
C -0.602 -1.405 3.998
C -1.531 0.862 3.482
C -1.353 1.322 4.875
C -2.228 1.500 2.490
C -3.074 2.705 2.616
S -1.994 0.764 0.985
H -3.142 -3.012 -0.944
H -2.487 -1.750 -2.032
H -1.459 -3.152 -1.620
H 0.473 -2.872 -0.889
H 1.749 -5.001 -0.718
H 1.588 -6.337 1.396
H -0.013 -5.665 3.201
H -1.437 -3.614 2.855
H -0.150 -0.989 4.903
H -1.487 -1.992 4.261
H 0.137 -2.068 3.529
H -1.808 2.313 4.964
H -1.829 0.674 5.621
H -0.287 1.436 5.126
H -2.606 3.390 3.327
H -3.163 3.189 1.636
H -4.087 2.454 2.967
O 3.713 -1.034 -2.377
S 2.589 -0.429 -1.698
O 2.462 0.983 -1.491
C 1.049 -0.918 -2.646
F 1.002 -0.269 -3.814
F 1.025 -2.262 -2.900
F -0.045 -0.597 -1.918
C 2.333 -1.271 -0.152
C 1.469 -0.681 0.820
C 1.953 -0.744 2.125
N 1.895 0.231 3.117
O 1.336 1.315 3.205
O 2.770 -0.202 4.138
N 3.307 -1.434 3.840
C 2.882 -1.704 2.577
C 3.412 -2.608 1.599
N 3.951 -3.898 1.940
O 3.976 -4.267 3.130
O 4.356 -4.632 1.007
C 3.302 -2.212 0.243
H 0.681 0.018 0.568
H 3.888 -2.736 -0.519

Calculated values
Orbital gap, eV: 4.78
Electronic energy, eV: -72189.4691
Charge: 0
M, g/mol: 560.532

Results of the Löwdin charge analysis, in e, for atoms 1 through 2: -0.0103 -0.2129



(2)
Here is a molecular structure, C21H19F4IrN3 from OMol25. Energies are from wB97M-V/def2-TZVPD.

Geometry (Å):
Ir -0.926 -0.217 -0.228
C 0.100 -3.091 0.274
N -1.130 -2.334 0.567
C -2.287 -2.924 -0.134
C -1.385 -2.252 2.021
C -0.569 -1.160 2.702
N -0.745 0.082 1.982
C -0.482 1.279 2.498
C -0.849 2.434 1.739
F -1.468 2.218 0.566
C -0.599 3.707 2.167
F -0.972 4.738 1.432
C 0.055 3.917 3.381
C 0.441 2.827 4.146
F 1.078 3.014 5.285
C 0.176 1.537 3.737
F 0.588 0.519 4.474
H -0.006 -4.134 0.587
H 0.950 -2.654 0.794
H 0.301 -3.079 -0.797
H -2.520 -3.917 0.262
H -2.064 -3.029 -1.195
H -3.166 -2.294 -0.008
H -1.164 -3.212 2.494
H -2.444 -2.036 2.166
H 0.495 -1.427 2.725
H -0.900 -1.080 3.738
H 0.264 4.924 3.717
C -1.924 0.629 -4.533
C -0.678 0.544 -5.135
C 0.447 0.371 -4.346
C 0.313 0.287 -2.964
N -0.917 0.312 -2.401
C -1.999 0.490 -3.157
C 1.444 0.223 -2.033
C 2.772 0.136 -2.437
C 3.783 0.198 -1.492
C 3.491 0.345 -0.123
C 2.181 0.421 0.291
C 1.140 0.286 -0.638
H -2.822 0.790 -5.112
H -0.581 0.623 -6.209
H 1.424 0.312 -4.802
H -2.956 0.522 -2.653
H 3.028 0.047 -3.484
H 4.816 0.163 -1.813
H 4.293 0.403 0.602
H 1.970 0.546 1.347

Calculated values
Orbital gap (alpha / beta), eV: 7.33 / 5.77
Electronic energy, eV: -40243.9409
Spin multiplicity: 6
⟨S²⟩: 8.822
Charge: +2
M, g/mol: 581.613

Results of the Löwdin charge analysis, in e, for atoms 1 through 2: 1.4248 -0.0629



(3)
Here is a molecular structure, C21H20B2F4MnN5O4S from OMol25. Energies are from wB97M-V/def2-TZVPD.

Geometry (Å):
Mn -0.559 -0.154 0.581
C -0.151 -4.290 -0.742
C -0.257 -2.803 -0.662

• Job:
Reproduce the whole of the entries further up unchanged.

• Response:
{"formula": "C5H9BaO3", "method": "ωB97M-V with the def2-TZVPD basis set", "elements": ["O", "C", "O", "C", "C", "H", "C", "H", "H", "H", "C", "H", "H", "H", "H", "H", "Ba", "O"], "xyz": [[-0.52, 0.08, -0.87], [0.60, -0.16, -0.38], [1.50, -0.64, -1.19], [2.26, -1.83, -0.86], [1.06, 0.36, 1.08], [1.87, -0.23, 1.54], [1.29, 1.86, 1.16], [2.35, 2.14, 1.11], [0.81, 2.38, 0.32], [0.88, 2.23, 2.12], [2.47, -2.60, -2.13], [1.69, -2.41, -0.12], [3.21, -1.52, -0.41], [1.55, -3.12, -2.43], [3.25, -3.36, -1.96], [2.79, -1.94, -2.95], [-2.39, 0.62, 0.91], [-0.16, -0.10, 1.60]], "lowdin_charge": [-0.1531, -0.4534, 0.0251, -0.1949, -0.4070, 0.1429, -0.0381, 0.0894, 0.0819, 0.0872, -0.0599, 0.1358, 0.1287, 0.0867, 0.0897, 0.0909, 1.9289, -0.5807], "spin_multiplicity": 1, "orbital_gap_ev": 7.5, "e_above_lowest_ev": 0.0000, "homo_energy_ha": -0.437, "charge": 1}

=====

(1)
Here is 2 unconnected molecules or ions with the total composition C21H19F3N4O7S2 from OMol25. Energies are from wB97M-V/def2-TZVPD.

Geometry (Å):
C -2.232 -2.469 -1.244
O -1.811 -1.551 -0.180
C -0.989 -1.718 0.896
C -0.363 -3.028 1.078
C 0.427 -3.491 0.017
C 1.114 -4.687 0.117
C 0.980 -5.444 1.286
C 0.102 -5.059 2.297
C -0.631 -3.881 2.172
C -1.203 -0.606 1.748
N -1.010 -0.348 3.076
C -0.602 -1.405 3.998
C -1.531 0.862 3.482
C -1.353 1.322 4.875
C -2.228 1.500 2.490
C -3.074 2.705 2.616
S -1.994 0.764 0.985
H -3.142 -3.012 -0.944
H -2.487 -1.750 -2.032
H -1.459 -3.152 -1.620
H 0.473 -2.872 -0.889
H 1.749 -5.001 -0.718
H 1.588 -6.337 1.396
H -0.013 -5.665 3.201
H -1.437 -3.614 2.855
H -0.150 -0.989 4.903
H -1.487 -1.992 4.261
H 0.137 -2.068 3.529
H -1.808 2.313 4.964
H -1.829 0.674 5.621
H -0.287 1.436 5.126
H -2.606 3.390 3.327
H -3.163 3.189 1.636
H -4.087 2.454 2.967
O 3.713 -1.034 -2.377
S 2.589 -0.429 -1.698
O 2.462 0.983 -1.491
C 1.049 -0.918 -2.646
F 1.002 -0.269 -3.814
F 1.025 -2.262 -2.900
F -0.045 -0.597 -1.918
C 2.333 -1.271 -0.152
C 1.469 -0.681 0.820
C 1.953 -0.744 2.125
N 1.895 0.231 3.117
O 1.336 1.315 3.205
O 2.770 -0.202 4.138
N 3.307 -1.434 3.840
C 2.882 -1.704 2.577
C 3.412 -2.608 1.599
N 3.951 -3.898 1.940
O 3.976 -4.267 3.130
O 4.356 -4.632 1.007
C 3.302 -2.212 0.243
H 0.681 0.018 0.568
H 3.888 -2.736 -0.519

Calculated values
Orbital gap, eV: 4.78
Electronic energy, eV: -72189.4691
Charge: 0
M, g/mol: 560.532

Results of the Löwdin charge analysis, in e, for atoms 1 through 2: -0.0103 -0.2129



(2)
Here is a molecular structure, C21H19F4IrN3 from OMol25. Energies are from wB97M-V/def2-TZVPD.

Geometry (Å):
Ir -0.926 -0.217 -0.228
C 0.100 -3.091 0.274
N -1.130 -2.334 0.567
C -2.287 -2.924 -0.134
C -1.385 -2.252 2.021
C -0.569 -1.160 2.702
N -0.745 0.082 1.982
C -0.482 1.279 2.498
C -0.849 2.434 1.739
F -1.468 2.218 0.566
C -0.599 3.707 2.167
F -0.972 4.738 1.432
C 0.055 3.917 3.381
C 0.441 2.827 4.146
F 1.078 3.014 5.285
C 0.176 1.537 3.737
F 0.588 0.519 4.474
H -0.006 -4.134 0.587
H 0.950 -2.654 0.794
H 0.301 -3.079 -0.797
H -2.520 -3.917 0.262
H -2.064 -3.029 -1.195
H -3.166 -2.294 -0.008
H -1.164 -3.212 2.494
H -2.444 -2.036 2.166
H 0.495 -1.427 2.725
H -0.900 -1.080 3.738
H 0.264 4.924 3.717
C -1.924 0.629 -4.533
C -0.678 0.544 -5.135
C 0.447 0.371 -4.346
C 0.313 0.287 -2.964
N -0.917 0.312 -2.401
C -1.999 0.490 -3.157
C 1.444 0.223 -2.033
C 2.772 0.136 -2.437
C 3.783 0.198 -1.492
C 3.491 0.345 -0.123
C 2.181 0.421 0.291
C 1.140 0.286 -0.638
H -2.822 0.790 -5.112
H -0.581 0.623 -6.209
H 1.424 0.312 -4.802
H -2.956 0.522 -2.653
H 3.028 0.047 -3.484
H 4.816 0.163 -1.813
H 4.293 0.403 0.602
H 1.970 0.546 1.347

Calculated values
Orbital gap (alpha / beta), eV: 7.33 / 5.77
Electronic energy, eV: -40243.9409
Spin multiplicity: 6
⟨S²⟩: 8.822
Charge: +2
M, g/mol: 581.613

Results of the Löwdin charge analysis, in e, for atoms 1 through 2: 1.4248 -0.0629



(3)
Here is a molecular structure, C21H20B2F4MnN5O4S from OMol25. Energies are from wB97M-V/def2-TZVPD.

Geometry (Å):
Mn -0.559 -0.154 0.581
C -0.151 -4.290 -0.742
C -0.257 -2.803 -0.662